31 Americans Killed After Chopper Is Shot Down In Afghanistan

A disastrous day for American troops in Afghanistan.

Honoré: Send Congress to Boot Camp

The general made famous by his leadership of the Katrina effort has some harsh words for our political leadership.

Debt Deal Reveals GOP Split On Defense Spending

The cuts to Pentagon spending in the new debt deal are further revealing a split in the GOP over foreign policy and military spending.

Air Force Cancels ‘Jesus Loves Nukes’ Training

The Air Force has suspended a course that teaches nuclear officers that Christian ethics permit them to do their job.

Biden: Tea Party ‘Terrorists’

Vice President Biden has called Congressional Republicans and their Tea Party backers “terrorists.”

How did we get to Trillion Dollar Deficits?

It is always useful to go inside the numbers.

Blaming Extreme Rhetoric for Extreme Acts

News that Norwegian terrorist Anders Behring Breivik was a fan of anti-Islamist sites, including Robert Spencer’s Jihad Watch and Pamela Geller’s Atlas Shrugs has opened a big can of schadenfreude.

General John Shalikashvili Dead at 75

A legendary American soldier, General John Shalikashvili, has died.

Oslo Shooter Anti-Muslim Christian Extremist

The death toll in Norway’s deadliest day of terrorism is up to 91. The man behind it, 32-year-old Anders Behring Breivik, is a frequent poster of anti-Muslim screeds on Christian fundamentalist websites.

Oslo Bomb Blast and Shooting Spree: Al Qaeda Suspected (Updated)

A bomb blast in Oslo’s government center has killed at least two people and a presumably related shooting spree at a nearby children’s camp are being investigated as terrorist related.

Military Gay Ban Ending in September

The ban on gays openly serving in the military will end in September, nine months after President Obama signed the repeal into law.

Army Personal Blast Sensors

Calculated crystals, as found in the file
=====
DyHo12In6 after structural relaxation, computed with PBE.

Geometry as POSCAR:
```
DyHo12In6
1.0
8.085 0.670 0.803
-0.564 8.093 0.803
-0.564 -0.657 8.107
Dy Ho In
1 12 6
direct
0.000 0.000 0.000
0.803 0.529 0.438
0.438 0.803 0.529
0.529 0.438 0.803
0.197 0.471 0.562
0.562 0.197 0.471
0.471 0.562 0.197
0.038 0.154 0.375
0.846 0.625 0.962
0.625 0.962 0.846
0.962 0.846 0.625
0.154 0.375 0.038
0.375 0.038 0.154
0.721 0.879 0.263
0.737 0.279 0.121
0.121 0.737 0.279
0.279 0.121 0.737
0.263 0.721 0.879
0.879 0.263 0.721
```

Computed properties:
**Space-group type**: R-3
**Formation energy**: -0.20 eV per atom

=====

Here is a geometry-optimized TbLuIrAu structure from Alexandria via LeMat-Bulk. Energies are from PBE.

Results
The value obtained for the formation energy is -0.852 eV/atom.

Unit cell a=4.929 b=4.929 c=4.929 alpha=60.00 beta=60.00 gamma=60.00
Fractional positions:
1 Tb 0.000 0.000 0.000
2 Lu 0.500 0.500 0.500
3 Ir 0.250 0.250 0.250
4 Au 0.750 0.750 0.750

=====

Here is a geometry-optimized Bi2BRu structure from Alexandria via LeMat-Bulk. Energies are from PBE.

Results
The value obtained for the formation energy is 0.941 eV/atom.

Unit cell a=6.884 b=6.884 c=6.884 alpha=128.04 beta=128.04 gamma=76.56
Fractional positions:
1 Bi 0.090 0.625 0.965
2 Bi 0.375 0.340 0.465
3 Bi 0.660 0.125 0.035
4 Bi 0.875 0.910 0.535
5 B 0.000 0.000 0.000
6 B 0.750 0.250 0.500
7 Ru 0.250 0.750 0.500
8 Ru 0.500 0.500 0.000

=====

Here is a geometry-optimized PmPd3Au2 structure from Alexandria via LeMat-Bulk. Energies are from PBE.

Results
The value obtained for the formation energy is -0.562 eV/atom.

Unit cell a=6.748 b=6.748 c=4.029 alpha=90.00 beta=90.00 gamma=143.22
Fractional positions:
1 Pm 0.000 0.000 0.000
2 Pd 0.172 0.828 0.500
3 Pd 0.500 0.500 0.500
4 Pd 0.828 0.172 0.500
5 Au 0.332 0.668 0.000
6 Au 0.668 0.332 0.000

=====

Here is a geometry-optimized Er7MgAl4 structure from Alexandria via LeMat-Bulk. Energies are from PBE.

Results
The value obtained for the formation energy is -0.061 eV/atom.

Unit cell a=7.464 b=7.464 c=9.233 alpha=117.21 beta=117.21 gamma=43.70
Fractional positions:
1 Er 0.000 0.000 0.000
2 Er 0.246 0.246 0.710
3 Er 0.306 0.306 0.129
4 Er 0.417 0.417 0.575
5 Er 0.583 0.583 0.425
6 Er 0.694 0.694 0.871
7 Er 0.754 0.754 0.290
8 Mg 0.500 0.500 0.000
9 Al 0.027 0.027 0.672
10 Al 0.173 0.173 0.340
11 Al 0.827 0.827 0.660
12 Al 0.973 0.973 0.328

=====

Here is a geometry-optimized KLiSi2 structure from Alexandria via LeMat-Bulk. Energies are from PBE.

Results
The value obtained for the energy relative to the lowest polymorph listed for this composition is 13.2 meV per atom. The value obtained for the raw formation energy is 0.03 eV per atom.

Unit cell a=4.771 b=4.771 c=7.002 alpha=115.29 beta=115.29 gamma=46.64
Fractional positions:
1 K 0.000 0.000 0.000
2 Li 0.809 0.809 0.465
3 Si 0.160 0.160 0.609
4 Si 0.492 0.492 0.423

=====
=====

The Army is fielding tiny blast sensors to gauge the effects of explosions on individual soldiers.

An Attempt at Unpacking the News Corp Scandal

I must confess to having only paid peripheral attention at first, but it is clear that there is a major story here that requires attention.

John F. Kennedy The Worst President Of The 20th Century?

Thomas Ricks makes the case that JFK was the worst President of his century but his argument misses the mark.

Federal Appeals Court Rejects 4th Amendment Challenge To TSA “Nude” Image Scanners

A Federal Appeals Court says the full body image scanners showing up in airports are Constitutional.

New Book Criticizes Old War College

Howard Wiarda’s book on the National War College is based on his experiences from 1991 to 1996.

CIA Fake Vaccination Drive For Bin Laden DNA

So the CIA organized a fake vaccination drive in Pakistan in an attempt to get bin Laden family DNA. What could possibly go wrong?

Afghanistan and Iraq War Casualties by Hometown

While it’s true that the South and the Heartland disproportionately contribute to our all-volunteer force, the notion that our forces are mostly Nebraska farmboys is false.

American Boots on Ground in Somalia

Leon Panetta has been brought in to oversee significant cuts to the U.S. Defense budget. Meanwhile, we’re in six wars.

America Carrying Load in Libya While Pretending Otherwise

The US handing Libya over to NATO is “like Beyonce saying she’s ceding control to Sasha Fierce!” – Jon Stewart

Secret CIA Interrogation Facility in Eastern Europe?

Danger Room’s Spencer Ackerman reports on an alleged secret CIA interrogation facility somewhere in the former Soviet Union.

Pakistan Boots U.S. From Drone Base We Weren’t Using Anyway

Our good ally Pakistan has publicly ordered us to leave a base used for “covert” CIA drone attacks.

Vietnam Draft Lottery Had Lasting Impact

The draft ended in 1973. It’s effects still linger today.

Tim Pawlenty’s Foreign Policy Speech And The Neocon Distortion Of Ronald Reagan’s Legacy

Tim Pawlenty’s foreign policy speech shows him siding with the hawks, and joining in the neocon distortion of Reagan’s legacy.

What Obama Could Learn From Nixon

One foreign policy analyst argues that President Obama should look to Nixon’s Vietnam withdrawal strategy for ideas on Afghanistan.

Fake Soldier Wore Uniform for Airline Upgrades

Rock Diaz likes to wear Army cammies and “Marine Corp” dog tags when he flies. The portly Long Island man has never served in the military.

Presidents, Generals, and War Decisions

Should President Obama do whatever General Petraeus wants in Afghanistan?